Roan prize winners
Survey winner season 2024 known:
We have received back almost all completed surveys from our guests. With your comments and / or additions we can work again to further improve our product and offer. As every year we have chosen a survey winner. The winner this year is family Hendriks!
You win: 1 week free vacation for the season 2025.
Prize winner of the Roan photo frame has been announced:
1st prize of €1250,- is for Niek and Vera
2nd prize of €750,- is for family Keizers
Records of crystals, as found in the file >
+++
VASP calculation (GGA-PBE) on a relaxed ThVTc2 crystal.

Properties
N(E_F): 3.17 states/eV per cell
Offset from the most stable computed form: 0 meV per atom
Uncorrected energy: -37.12 eV per cell

Unit cell a=4.6534 b=4.6534 c=4.6534 alpha=60.00 beta=60.00 gamma=60.00
Sites, in units of the cell vectors:
1 Tc 0.2500 0.2500 0.2500
2 Tc 0.7500 0.7500 0.7500
3 Th 0.5000 0.5000 0.5000
4 V 0.0000 0.0000 0.0000

VASP calculation (GGA-PBE) on a relaxed ThTc2W crystal.

Properties
N(E_F): 4.66 states/eV per cell
Uncorrected energy: -39.21 eV per cell

Unit cell a=3.1244 b=3.1244 c=9.1854 alpha=80.21 beta=80.21 gamma=60.00
Sites, in units of the cell vectors:
1 W 0.0000 0.0000 0.0000
2 Th 0.5000 0.5000 0.5000
3 Tc 0.7366 0.7366 0.7903
4 Tc 0.2634 0.2634 0.2097

=====

Computed, not measured: a relaxed structure of Fe2Cl3 at the PBE-GGA level of DFT.

The structure belongs to space group Fdd2 (No. 43); the cell edges are 10.349, 10.471 and 7.504 Å and the angles 90.00°, 90.00° and 90.00°. Symmetry generates all atoms from Fe at (0.037, 0.109, 0.000), Cl at (0.000, 0.000, 0.708) and Cl at (0.061, 0.185, 0.310).

The formation energy (no corrections) is -2.121 eV per formula unit. The value obtained for the calculated density is 3.6 g cm⁻³. The energy above the most stable polymorph in this dataset is 0.0 kJ/mol of atoms. For the magnetization, the calculation gives 56.00 Bohr magnetons per cell. For the raw total energy, the calculation gives -4.917 eV per atom.


Computed, not measured: a relaxed structure of Fe2Cl at the PBE-GGA level of DFT.

The structure belongs to space group P4/mmm (No. 123); the cell edges are 3.417, 3.417 and 4.307 Å and the angles 90.00°, 90.00° and 90.00°. Symmetry generates all atoms from Fe at (0.000, 0.500, 0.000) and Cl at (0.000, 0.000, 0.500).

The formation energy (no corrections) is 1.851 eV per formula unit. The value obtained for the calculated density is 4.9 g cm⁻³. The energy above the most stable polymorph in this dataset is 63.8 kJ/mol of atoms. For the magnetization, the calculation gives 5.92 Bohr magnetons per cell. For the raw total energy, the calculation gives -5.640 eV per atom.

=====

The following is a PBE calculation of a relaxed CeY14Ho crystal, from Alexandria.

Summary:
The crystal system is tetragonal. The total magnetization is 1.0 Bohr magnetons per cell. The formation energy comes out at 34.3 meV/atom.

Cell: 7.1478 7.1478 10.0930 Å, 90.00 90.00 90.00°
Closest atoms and distances in Å follow each position.
Space group P4/mmm (No. 123)
Inequivalent atoms, fractional coordinates:
Ce (0.0000, 0.0000, 0.0000)  12 Y 3.56-3.57
Y (0.0000, 0.0000, 0.5000)  12 Y 3.57-3.58
Y (0.0000, 0.5000, 0.0000)  8 Y 3.56, 2 Ce 3.57, 2 Ho 3.57
Y (0.0000, 0.5000, 0.5000)  12 Y 3.57-3.58
Y (0.2492, 0.2492, 0.2486)  1 Ce 3.56, 10 Y 3.56-3.59, 1 Ho 3.57
Y (0.5000, 0.5000, 0.5000)  12 Y 3.57-3.59
Ho (0.5000, 0.5000, 0.0000)  12 Y 3.57

The following is a PBE calculation of a relaxed SrNdGa crystal, from Alexandria.
+++
3rd prize of €500,- is for family Fischer
Newsletter winner season 2024 is known:
Jeroen Kramer wins a Roan holiday cheque worth €250 to be used for a camping holiday in 2025.
The prize winner of the hanging chair and holiday package 2024 has been announced:
Ellen Uffing-Bruens, congratulations on your prize won!
The prize winner of the 2024 Valentine win campaign has been announced:
Lian wins a long weekend at camping Le Chene Gris to be spent in 2024.
Newsletter winner season 2024 is known:
Family Sterk wins a Roan vacation voucher worth € 250,- to be used for a camping vacation in 2024.
The winners of the coloring pages action 2023:
Family van Seggelen wins a Roan vacation voucher worth € 1000,- to use for a camping vacation in 2024.
Family Dietz wins a Roan vacation voucher worth € 500,- to be used for a camping vacation in 2024.
Family Stacey wins a'Roan vacation voucher worth € 250 ,- to be used for a camping vacation in 2024.
Survey winner season 2023 known:
We have received back almost all completed surveys from our guests. With your comments and / or additions we can work again to further improve our product and offer. As every year we have chosen a survey winner. The winner this year is family Mulder! You win: 1 week free vacation for the summer season 2023.
The winner of the survey 'Sustainability at Roan':
Family Berkhout wins a Roan vacation voucher worth € 250 to use for a camping vacation in 2021.
The winner of the survey ' Brochure improvements':
Family Wagt wins a Roan vacation voucher worth € 250,- to be used for a camping vacation in 2021.
The winner of the Roan vacation survey:
Family Schuit wins 1 week free vacation for the 2021 summer season.
The winner of the 'Supreme Lounge' survey:
Family van den Berg wins a Roan vacation voucher worth €250 to be used for a camping vacation in 2022.
The winner of the 'Valentine Facebook' competition:
Family Rutten wins a Roan vacation voucher worth € 250 to be used for a camping vacation in 2022.
The winner of the survey 'accommodation' competition:
Family Post wins a Roan vacation voucher worth € 500 to use for a camping vacation in 2022.
The winners ofthe Easter action 2022:
Family Leenders & Family van Maren win a luxury Easter breakfast for 4!
# Materials data, kept here for reference
/*
VASP calculation (PBE-GGA) on an optimized crystal structure of KTl2Ge.

a b c (Å): 5.4899 5.4899 5.4899
angles (deg): 60.00 60.00 60.00
With the nearest neighbours (Å) after each atom.
Fractional coordinates of all 4 atoms:
Tl 0.2500 0.2500 0.2500  4 Ge 3.36, 4 K 3.36
Tl 0.7500 0.7500 0.7500  4 Ge 3.36, 4 K 3.36
K 0.0000 0.0000 0.0000  8 Tl 3.36
Ge 0.5000 0.5000 0.5000  8 Tl 3.36

Properties
offset from the most stable computed form	72	meV/atom
total magnetization	0.000	μB/f.u.
D(E_F)	2.60	states/eV/f.u.
density	7.388	g cm⁻³
ΔH_f (0 K)	69.2	meV/atom
SG	Fm-3m


VASP calculation (PBE-GGA) on an optimized crystal structure of KTlGe.

a b c (Å): 4.0238 9.3848 5.6032
angles (deg): 107.45 90.06 103.78
With the nearest neighbours (Å) after each atom.
Fractional coordinates of all 6 atoms:
Ge 0.3301 0.1396 0.1126  2 Ge 2.46-2.47
Tl 0.1611 0.6411 0.3645  1 Ge 2.93, 2 Tl 3.20
Tl 0.0914 0.8025 0.9457  1 Ge 2.93, 2 Tl 3.20
K 0.4909 0.4304 0.7596  5 Tl 3.59-4.02, 6 Ge 3.61-3.77, 2 K 4.02
Ge 0.9218 0.3041 0.1967  2 Ge 2.46-2.47
K 0.7614 0.0131 0.5501  4 Tl 3.59-4.01, 6 Ge 3.61-3.77

Properties
total magnetization	0.000	μB/f.u.
D(E_F)	1.30	states/eV/f.u.
density	5.372	g cm⁻³
ΔH_f (0 K)	-102.6	meV/atom
SG	P-1


VASP calculation (PBE-GGA) on an optimized crystal structure of KTl2Ge.

a b c (Å): 4.7048 4.7048 7.5297
angles (deg): 71.79 71.79 60.00
With the nearest neighbours (Å) after each atom.
Fractional coordinates of all 4 atoms:
Tl 0.2758 0.2758 0.1726  3 Ge 2.97
Tl 0.7242 0.7242 0.8274  3 Ge 2.97
K 0.5000 0.5000 0.5000  6 Tl 3.56
Ge 0.0000 0.0000 0.0000  6 Tl 2.97

Properties
offset from the most stable computed form	0	meV/atom
total magnetization	0.000	μB/f.u.
D(E_F)	2.23	states/eV/f.u.
density	6.420	g cm⁻³
ΔH_f (0 K)	-2.7	meV/atom
SG	R-3m


VASP calculation (PBE-GGA) on an optimized crystal structure of K4Tl4Ge.

a b c (Å): 6.6941 9.2979 6.6941
angles (deg): 68.90 90.00 111.10
With the nearest neighbours (Å) after each atom.
Fractional coordinates of all 9 atoms:
K 0.0689 0.6694 0.3995  1 Ge 3.45, 5 Tl 3.64-3.85
Tl 0.7788 0.1240 0.6548  1 Ge 2.86
K 0.9311 0.3306 0.0689  1 Ge 3.45, 5 Tl 3.64-3.85
Tl 0.2212 0.8760 0.7788  1 Ge 2.86
Tl 0.6548 0.8760 0.3452  1 Ge 2.86
K 0.3995 0.3306 0.6005  1 Ge 3.45, 5 Tl 3.64-3.85
Ge 0.0000 0.0000 0.0000  4 Tl 2.86
Tl 0.3452 0.1240 0.2212  1 Ge 2.86
K 0.6005 0.6694 0.9311  1 Ge 3.45, 5 Tl 3.64-3.85

Properties
total magnetization	0.000	μB/f.u.
D(E_F)	3.13	states/eV/f.u.
density	4.846	g cm⁻³
ΔH_f (0 K)	-28.8	meV/atom
SG	I-42m


Question: Which value of ΔH_f (0 K) does entry 1 give?
Answer: 69.2 meV/atom


Question: The highest D(E_F) belongs to which entry?
Answer: K4Tl4Ge
*/
The winner of the Father's Day action:
Family Vermeulen wins the BBQ package worth €150.
Someone pasted data records at this point
********
# 1
# KCu2S2

A relaxed KCu2S2 crystal (PBE, the Alexandria database).

Cell lengths 3.861, 3.861, 7.112 Å; angles 105.75, 105.75, 90.00 degrees
Positions (direct):
K (0.000, 0.000, 0.000)
S (0.647, 0.647, 0.295)
S (0.353, 0.353, 0.705)
Cu (0.250, 0.750, 0.500)
Cu (0.750, 0.250, 0.500)

Uncorrected formation energy, eV/f.u.: -2.84
Magnetic moment, μB per atom: 0.00
Symmetry: No. 139
Density, g cm⁻³: 3.9

=====

# 2
# ReSn2WI

A relaxed ReSn2WI crystal (PBE, the Alexandria database).

Cell lengths 5.699, 4.828, 5.699 Å; angles 90.00, 90.00, 90.00 degrees
Positions (direct):
I (0.000, 0.000, 0.000)
Re (0.000, 0.500, 0.000)
Sn (0.000, 0.000, 0.500)
Sn (0.500, 0.000, 0.000)
W (0.500, 0.500, 0.500)

Uncorrected formation energy, eV/f.u.: 13.47
Magnetic moment, μB per atom: 0.75
Symmetry: No. 123
Density, g cm⁻³: 7.8

=====

# 3
# HPbBrO

A relaxed HPbBrO crystal (PBE, the Alexandria database).

Cell lengths 4.152, 7.493, 10.281 Å; angles 90.00, 90.00, 90.00 degrees
Positions (direct):
H (0.250, 0.797, 0.112)
H (0.250, 0.297, 0.388)
H (0.750, 0.203, 0.888)
H (0.750, 0.703, 0.612)
Pb (0.250, 0.695, 0.416)
Pb (0.250, 0.195, 0.084)
Pb (0.750, 0.305, 0.584)
Pb (0.750, 0.805, 0.916)
Br (0.750, 0.562, 0.180)
Br (0.750, 0.062, 0.320)
Br (0.250, 0.438, 0.820)
Br (0.250, 0.938, 0.680)
O (0.250, 0.878, 0.037)
O (0.250, 0.378, 0.463)
O (0.750, 0.122, 0.963)
O (0.750, 0.622, 0.537)

Magnetic moment, μB per atom: 0.00
Symmetry: No. 62
Density, g cm⁻³: 6.3
DFT total energy, eV/atom: -4.49

=====

# 4
# PmEr3Se4

A relaxed PmEr3Se4 crystal (PBE, the Alexandria database).

Cell lengths 4.015, 7.100, 7.100 Å; angles 108.68, 90.00, 90.00 degrees
Positions (direct):
Er (0.000, 0.000, 0.500)
Er (0.500, 0.500, 0.500)
Er (0.000, 0.500, 0.000)
Se (0.000, 0.260, 0.260)
Se (0.500, 0.745, 0.255)
Se (0.000, 0.740, 0.740)
Se (0.500, 0.255, 0.745)
Pm (0.500, 0.000, 0.000)

Uncorrected formation energy, eV/f.u.: -13.80
Magnetic moment, μB per atom: 0.00
Symmetry: No. 65
Density, g cm⁻³: 8.3
Energy above the lowest structure with this stoichiometry, eV per atom: 0.000

=====

# 5
# Na6Pb12Au

A relaxed Na6Pb12Au crystal (PBE, the Alexandria database).

Cell lengths 8.833, 8.833, 8.833 Å; angles 106.51, 106.51, 106.51 degrees
Positions (direct):
Na (0.082, 0.199, 0.463)
Na (0.801, 0.537, 0.918)
Na (0.537, 0.918, 0.801)
Na (0.918, 0.801, 0.537)
Na (0.199, 0.463, 0.082)
Na (0.463, 0.082, 0.199)
Pb (0.471, 0.186, 0.595)
Pb (0.186, 0.595, 0.471)
Pb (0.595, 0.471, 0.186)
Pb (0.529, 0.814, 0.405)
Pb (0.814, 0.405, 0.529)
Pb (0.405, 0.529, 0.814)
Pb (0.266, 0.136, 0.851)
Pb (0.149, 0.734, 0.864)
Pb (0.864, 0.149, 0.734)
Pb (0.734, 0.864, 0.149)
Pb (0.851, 0.266, 0.136)
Pb (0.136, 0.851, 0.266)
Au (0.000, 0.000, 0.000)

Magnetic moment, μB per atom: 0.00
Symmetry: No. 148
Density, g cm⁻³: 8.1
DFT total energy, eV/atom: -3.00

=====

# 6
# RbSr2Se2O6

A relaxed RbSr2Se2O6 crystal (PBE, the Alexandria database).

Cell lengths 6.217, 6.143, 6.793 Å; angles 88.94, 86.46, 60.37 degrees
********
Here the page continues
The winner of the Friesland package:
Family Gertner wins a fully catered Friesland-arrangement.
The winner of the Roan summer win action:
Family van Steijn wins a Roan vacation voucher worth €1000,- to be used for a camping vacation in 2023.
The winner of the long weekend away to camping Het Genieten:
Family Verhagen van Kaathoven.
The winner of the Easter action 2023!
Family Broeders, congratulations!
Congratulations to all winners and enjoy your prize!